The physiology of blood pressure is well explained in this article. Behavioral and nutritional strategies for dealing with high blood pressure are offered.

- Designs for Health® Institute – Issue 11

High Blood Pressure

Hypertension: The Silent Killer

High Blood Pressure has often been called the "silent killer." It can damage many areas in the body, and such damage can progress rapidly and without symptoms. Frequent television commercials reminding hypertensives to take their medication shows lack of attention people give to this dangerous condition even after it has been diagnosed. Chronic elevated blood pressure is the most prevalent form of heart disease in America, affecting one out of every three adults. It contributes to half a million strokes and over a million heart attacks per year, and can damage organs, arteries, and accelerate other health problems as well.
The good news is that diet and lifestyle have been shown to help reduce blood pressure. Avoiding and controlling this dangerous condition can be as simple as watching what we eat, making sure our intake of essential nutrients is adequate and exercising regularly. Losing excess weight is also important.

Calculated crystals, as found in the file >
____________
A relaxed structure of CaLaNdDy. Source: Alexandria via LeMat-Bulk, functional GGA-PBE.

Lattice parameters (Å, degrees): 3.6845 3.6845 12.2936 90.00 90.00 120.00
Atoms (fractional coordinates):
Dy: 0.6667 0.3333 0.1780
La: 0.3333 0.6667 0.9406
Nd: 0.0000 0.0000 0.4098
Ca: 0.6667 0.3333 0.6709

Output
Crystal system: trigonal
ΔH_f (0 K) in eV per atom: 0.041
E in eV per atom: -4.03
Symmetry: P3m1 (156)

----------

CsSbO | PBE-GGA | relaxed

For the uncorrected formation energy, the calculation gives -0.8568 eV/atom. The calculated volume comes out at 29.4 Å³/atom. The total energy is -4.17 eV/atom. The calculation puts the density at 5.094 g/cm3.

The space group is Pnma (No. 62) and the conventional cell measures 8.5049, 3.5152 and 11.8050 Å, with angles of 90.00, 90.00 and 90.00 degrees. Symmetry generates all atoms from Cs at (0.0015, 0.2500, 0.1756), Sb at (0.1470, 0.7500, 0.4746) and O at (0.2222, 0.7500, 0.0372).

AcSmDy2Er4 | PBE-GGA | relaxed

Its formation energy is 0.454 eV/atom. The calculated volume comes out at 34.2 Å³/atom. The total energy is -4.08 eV/atom. The calculation puts the density at 8.322 g/cm3. Its density of states at the Fermi level is 74.08 states/eV per cell.

The space group is Imma (No. 74) and the conventional cell measures 6.8830, 11.8657 and 13.4023 Å, with angles of 90.00, 90.00 and 90.00 degrees. Symmetry generates all atoms from Ac at (0.0000, 0.0000, 0.0000), Sm at (0.2500, 0.2500, 0.2500), Dy at (0.0000, 0.0000, 0.5000), Dy at (0.2500, 0.2500, 0.7500), Er at (0.0000, 0.0027, 0.7408) and Er at (0.2373, 0.2500, 0.5026).

PmGa2Pt3 | PBE-GGA | relaxed

Its formation energy is -0.912 eV/atom. The calculated volume comes out at 18.4 Å³/atom. The total energy is -5.73 eV/atom. The calculation puts the density at 13.082 g/cm3. Its density of states at the Fermi level is 14.79 states/eV per cell.

The space group is C2/m (No. 12) and the conventional cell measures 16.7717, 4.0878 and 10.0797 Å, with angles of 90.00, 106.57 and 90.00 degrees. Symmetry generates all atoms from Pm at (0.0000, 0.0000, 0.0000), Pm at (0.1625, 0.0000, 0.7054), Ga at (0.0373, 0.5000, 0.7763), Ga at (0.1391, 0.5000, 0.4536), Ga at (0.1957, 0.0000, 0.1249), Pt at (0.0000, 0.5000, 0.5000), Pt at (0.0422, 0.0000, 0.3351), Pt at (0.1165, 0.5000, 0.1931), Pt at (0.1737, 0.5000, 0.9541) and Pt at (0.2187, 0.0000, 0.3896).

Dy6TmSc2 | PBE-GGA | relaxed

Its formation energy is 0.075 eV/atom. The calculated volume comes out at 29.6 Å³/atom. The total energy is -4.90 eV/atom. The calculation puts the density at 7.693 g/cm3. Its density of states at the Fermi level is 64.22 states/eV per cell.

The space group is C2/c (No. 15) and the conventional cell measures 21.1817, 9.4568 and 5.5076 Å, with angles of 90.00, 105.06 and 90.00 degrees. Symmetry generates all atoms from Dy at (0.0859, 0.0833, 0.3203), Dy at (0.0858, 0.4171, 0.3530), Dy at (0.1696, 0.2499, 0.9198), Tm at (0.0000, 0.2499, 0.7500) and Sc at (0.2501, 0.0831, 0.5124).
____________
Here the entry continues >

Regular check-ups with your physician are the best way to keep track of your blood pressure. Because there are no symptoms, only a qualified health professional can tell you if your blood pressure is high.

Your nutritionist can also assist you in keeping track of your blood pressure, and will work with your physician to help create a nutritional program to lower your blood pressure naturally.

What is Blood Pressure?

Blood pressure is the pressure of the blood against the walls of the arteries that pushes fluids, carrying a cargo of nutrients and oxygen into the cells. By the time the blood reaches the veins, much of the nutrient-rich fluid has been pushed into the tissues. The concentrated blood in the veins attracts the fluid back into the circulatory system. Thus the cells of our body are nourished and cleansed.
A certain blood pressure is necessary to insure our tissues can receive the nutrients and oxygen they require. The ideal blood pressure for this to happen is approximately 120/80. The top number, 120, is called "systolic" blood pressure and is the pressure when the heart contracts. The bottom number, "diastolic", represents the pressure when the heart relaxes. Let's look at a chart that shows when blood pressure begins to be too high:

What Causes Hypertension?

High blood pressure rarely occurs in primitive cultures eating traditional diets. People living in rural area in China, the Solomon Islands, New Guinea, Africa, Panama and Brazil display almost no hypertension, nor do they show an increase in blood pressure with advancing age as people in Western Society do. When members of these "primitive" societies travel to more civilized societies, their incidence of hypertension increases dramatically.

The protective factors in these traditional diets are thought to be the high fiber content and the large amount of vitamins and minerals, especially calcium, magnesium and potassium these primitive diets contain. These people groups also consume very little sugar. Low vitamin, mineral and fiber intake combined with high sugar intake has been found to increase the build-up of plaque on artery walls. This process is known as atherosclerosis, and it causes arteries to harden which, in turn, raises blood pressure.

What is the influence of specific nutrients?

Magnesium has been called by nutritionists the most undersupplied nutrient in the American diet. Magnesium is found in wheat bran, leafy greens, whole grains, nuts, and seafood. Magnesium levels are consistently lower in hypertensives as compared with normotensives. In one double-blind clinical study, magnesium supplementation lowered blood pressure by 12/8 mm Hg in 19 of 20 subjects in the experimental group, with virtually no results in the placebo group.

Does the kind of fat one eats affect blood pressure?

Unrefined, expeller-pressed vegetable oils such as flax, safflower, and walnut oils can lower blood pressure dramatically. The body hormones which control and lower blood pressure are called prostaglandins and are manufactured by our body from these healthy oils.
Partially hydrogenated vegetable oils like margarine and shortening should also be avoided, for they interfere with the health and blood benefits healthy oils like flax oil can give your body.

What effect does sugar consumption have on blood pressure?

Sugar can raise blood pressure. Sugar overstimulates the adrenal glands which are the glands which help control blood pressure. Sugar also raises blood levels of the hormone insulin which can further trigger a rise in blood pressure.. Sugar also accelerates calcium and magnesium excretion which would otherwise help control blood pressure. Sugar can also raise blood fat levels and interrupt the synthesis of valuable prostaglandin hormones necessary for blood pressure regulation.

What effect does fiber have on blood pressure?

Fiber lowers blood fat levels and slows the entry of dietary sugars into the blood. Fiber also helps prevent obesity by filling the stomach more quickly, and by giving the body the vitamins and minerals usually abundant in high-fiber foods. With all these benefits, missing fiber has been found to be a common underlying factor in many western diseases. Adding a wide range of fibers to the hypertensive's diet is an important aspect of managing this condition.

Does alcohol have an effect on blood pressure?

Even moderate amounts of alcohol can produce acute hypertension in some people due to over stimulation of the adrenals. Chronic alcohol consumption is one of the strongest predictors of blood pressure problems due to the nutrient-depleting and stressing effect this substance can have on the body.

Does smoking raise blood pressure?

Cigarette smoking's contribution to hypertension is well documented. This is again due to over stimulation of the adrenal glands. Smoking also depletes the body of Vitamin C, which lowers blood pressure. Smokers also have higher concentrations of lead and cadmium in their tissues, metals which raise blood pressure.

What effect does stress have on blood pressure?

Stress can cause high blood pressure in many instances. Relaxation techniques of all kinds have been found helpful in reducing blood pressure. This can vary from yoga and biofeedback to simply relaxing with deep breathing several times throughout the day. Find the mode of relaxation that works best for you and try to carry that sense of relaxation with you throughout the day.

How does exercise affect blood pressure?

Exercise is invaluable in lowering blood pressure, since it reduces stress, heavy metal load, aids in weight reduction and improves overall health. Hypertensives should be careful to consult with their physician before beginning an exercise program, for their systolic blood pressure could rise too high if they choose too vigorous an exercise program. Beginning with a walking program may be best.

What other nutrients affect blood pressure?

The Western diet high in refined foods does not supply many of the nutrients needed to maintain healthy blood pressure such as Vitamin C, Calcium, Potassium, Zinc, B-Complex vitamins, and other nutrients. One study found that if hypertensives were supplied with enough Potassium, Calcium and Magnesium in their diet, salt would not raise their blood pressure. A diet high in refined bread and oil products, and too high in non-essential saturated fats has a negative effect on blood pressure.

Does obesity increase the risk for high blood pressure?

Excess weight is a strong promoter of hypertension. Possible mechanisms include elevated cardiac output, increased body sodium due to increased insulin levels, and alterations in hormonal control of blood pressure. Weight reduction has been found to be a very effective method of lowering blood pressure. It should be thought of as the primary way to decrease hypertension in obese patients.

Is there any proof that coffee raises blood pressure?

Though inconclusive, there is evidence that caffeine raises blood pressure. Short-term studies consistently show temporary elevation of blood pressure when caffeine-rich foods like coffee are consumed.

Should I avoid salt if I have high blood pressure?

Many high blood pressure patients experience a significant reduction in blood pressure when they reduce their intake of salt and sodium. (Salt is composed of 40% sodium.) What may be of greater importance is their dietary ratio of potassium to sodium. Imbalance in the intake of these minerals is thought to be more of a problem than merely the intake of sodium alone. Excessive sodium consumption, coupled with diminished dietary potassium, causes an increase in fluid volume and an impairment in blood pressure regulating mechanisms. This can result in hypertension in susceptible individuals. To keep your potassium- sodium ratio in a healthy range, adopt the following strategies:

a) Eat fresh fruits and vegetables, not canned. The latter is usually laden with salt. b) Avoid processed and boxed food as much as possible. Choose baked potatoes and fresh whole grains over their processed counterparts to give your body the most nutrients possible.

c) Rinse tuna from the can under running water for three minutes. This will reduce its sodium content by 80 percent.

d) Eat organically grown or home grown produce whenever possible. Modern chemical farming methods in the U.S. have yielded fruits and vegetables that studies at Rutgers University have found to have higher sodium and less potassium than organic produce.

General Strategies to Help Control Hypertension

Eat plenty of foods which have demonstrated a blood pressure lowering effect such as garlic, onions, vegetables of all kinds, beans, walnuts, fresh sunflower and pumpkin seeds, and cold water fish such as sardines, mackerel, salmon, and albacore tuna. These fish have the valuable Omega-3 fatty acids that favorably influence blood pressure controlling prostaglandins.

Begin an exercise program that is approved by your physician . Walking, jogging, and other weight-bearing exercises are an excellent way to begin.

If you smoke or drink alcohol, try to quit or reduce these habits as much as possible. If your energy is low, start to exercise! If you drink regular coffee or tea, try to limit your consumption to one or two daily or switch to decaffeinated coffee or herbal tea if possible.

Improve your stress management techniques. Do you take time to relax each day? If you are an overachiever or are under a lot of pressure , give your body adequate rest each day. Overreacting with emotional outbursts can raise your blood pressure and further damage your system

Eat a diet rich in essential nutrients. Designs for Health nutrition programs aim to provide all essential nutrients. In order to do this vitamin supplementation is sometimes recommended. Some of the nutrients which nutritionally support hypertension are: Calcium, Magnesium, Potassium, EPA found in fish oil capsules, Vitamin C, Coenzyme Q10 , Taurine and Carnitine. Garlic and celery are two foods which studies have shown to help lower blood pressure as well.
Supplemental Vitamin E should not be taken in doses over 50 IUs per day, as this nutrient may cause a temporary rise in blood pressure. Tyrosine and phenylalanine are two amino acids which should not be taken by hypertensives, as they also can cause a rise in blood pressure. Stimulant herbs such as ephedra and guarana should also be avoided.

Restrict sugar intake as much as possible. This includes table sugar, milk sugar, and sugar from sweet fruits. Artificial sweeteners may be used in place of regular sugar, except for Nutrasweet. Nutrasweet contains the amino acid phenylalanine which can raise blood sugar. Designs for Health nutritionists will be sure to show you how to control your blood sugar levels since high blood insulin levels can be a causative factor in hypertension. Chromium is a very useful nutrient in controlling blood sugar disorders

Lose weight if necessary. Your Designs for Health nutritionist will be sure to help you achieve your weight goal and help you meet your body's nutritional needs.

Have your doctor monitor your blood pressure regularly. Hopefully, as you lose weight and increase your intake of essential nutrients, your blood pressure will naturally come down, and you will live a long and healthy life with normal blood pressure throughout.

Contact Member:
Brother Bernard Seif, SMC, EdD, DNM
420 Frantz Road - Salesian Monastery (Not 414, which is an internet error)
Brodheadsville, PA 18322-7722
United States / e-mail: monk@epix.net
Designs for Health Institute - Issue 11